### Input
Structure and calculated powder diffraction line list of LiMgPbF6 (a PBE-relaxed structure; CuKα).
Kinematic intensities with the Lorentz-polarization factor, no thermal factor.

abc: 5.5838 5.5838 8.8969
angles: 90.00 90.00 120.00
Space group P-31c (No. 163)
Unique sites:
Li 0.0000 0.0000 0.0000
Mg 0.3333 0.6667 0.2500
Pb 0.3333 0.6667 0.7500
F 0.0359 0.3549 0.1268

Main lines, sorted by position (2θ = 10–80°):
- hkl 1 0 0, 2θ 18.3, d 4.836, rel. 42
- hkl 0 0 2, 2θ 20.0, d 4.448, rel. 47
- hkl 1 0 1, 2θ 20.9, d 4.249, rel. 100
- hkl 1 0 2, 2θ 27.2, d 3.274, rel. 38
- hkl 1 1 0, 2θ 32.1, d 2.792, rel. 27
- hkl 1 0 3, 2θ 35.5, d 2.528, rel. 36
- hkl 1 1 2, 2θ 38.1, d 2.365, rel. 66
- hkl 2 0 1, 2θ 38.6, d 2.333, rel. 32
- hkl 3 -1 1, 2θ 51.0, d 1.790, rel. 25
- hkl 1 1 4, 2θ 52.6, d 1.740, rel. 36

---

Structure and calculated powder diffraction line list of Li2MgSbF (a PBE-relaxed structure; CuKα).
Kinematic intensities with the Lorentz-polarization factor, no thermal factor.

abc: 4.235 4.235 4.492
angles: 90.00 90.00 90.00
Space group P4/mmm (No. 123)
Unique sites:
Li 0.000 0.500 0.000
Mg 0.000 0.000 0.500
Sb 0.500 0.500 0.500
F 0.000 0.000 0.000

Main lines, sorted by position (2θ = 10–80°):
- hkl 0 0 1, 2θ 19.8, d 4.492, rel. 64
- hkl 1 0 0, 2θ 21.0, d 4.235, rel. 45
- hkl 1 0 1, 2θ 29.0, d 3.082, rel. 100
- hkl 1 1 0, 2θ 29.8, d 2.995, rel. 86
- hkl 1 1 1, 2θ 36.0, d 2.492, rel. 79
- hkl 2 0 0, 2θ 42.7, d 2.118, rel. 40
- hkl 2 0 1, 2θ 47.5, d 1.916, rel. 26
- hkl 1 1 2, 2θ 50.8, d 1.797, rel. 37
- hkl 2 1 1, 2θ 52.4, d 1.745, rel. 36
- hkl 2 0 2, 2θ 60.0, d 1.541, rel. 28

---

Structure and calculated powder diffraction line list of Li2MgUF8 (a PBE-relaxed structure; CuKα).
Kinematic intensities with the Lorentz-polarization factor, no thermal factor.

abc: 4.743 4.758 6.883
angles: 88.60 88.73 88.46
Space group P-1 (No. 2)
Unique sites:
Li 0.015 0.015 0.312
Mg 0.500 0.500 0.500
U 0.500 0.500 0.000
F 0.187 0.191 0.029
F 0.211 0.213 0.506
F 0.300 0.698 0.737
F 0.304 0.702 0.262

Main lines, sorted by position (2θ = 10–80°):
- hkl 0 0 1, 2θ 12.9, d 6.879, rel. 67
- hkl 0 1 0, 2θ 18.7, d 4.747, rel. 100
- hkl 0 1 1, 2θ 22.5, d 3.949, rel. 45
- hkl 0 1 -1, 2θ 23.0, d 3.866, rel. 38
- hkl 0 0 2, 2θ 25.9, d 3.439, rel. 23
- hkl 1 1 0, 2θ 26.2, d 3.402, rel. 30
- hkl 1 -1 0, 2θ 26.9, d 3.313, rel. 28
- hkl 0 1 2, 2θ 31.8, d 2.816, rel. 24
- hkl 1 -1 2, 2θ 37.7, d 2.386, rel. 44
- hkl 2 1 0, 2θ 42.1, d 2.146, rel. 23

~~~~~

# Li9Mn2Co5O16
Computed powder diffraction line list, CuKα. Input: a DFT-relaxed cell (PBE+U, the Materials Project).

Atomic structure:
a = 5.9096 Å, b = 5.9133 Å, c = 10.1009 Å
α = 73.72°, β = 89.83°, γ = 60.27°
Space group P-1 (No. 2)
One atom of each set of equivalent atoms:
Li1 0.0000 0.0000 0.0000
Li2 0.0000 0.0000 0.5000
Li3 0.0000 0.5000 0.0000
Li4 0.2444 0.0099 0.2436
Li5 0.2619 0.9891 0.7549
Li6 0.5000 0.0000 0.0000
Li7 0.5000 0.0000 0.5000
Mn1 0.5000 0.5000 0.0000
Mn2 0.5000 0.5000 0.5000
Co1 0.0000 0.5000 0.5000
Co2 0.2429 0.4990 0.2450
Co3 0.2501 0.4922 0.7568
O1 0.1115 0.2720 0.3771
O2 0.1270 0.2664 0.8596
O3 0.1560 0.7210 0.3792
O4 0.1595 0.7244 0.8803
O5 0.3743 0.2810 0.1251
O6 0.3772 0.2725 0.6147
O7 0.3817 0.7337 0.1182
O8 0.3834 0.7178 0.6243

Top 8 peaks for 2θ = 10–90°, in order of falling intensity:
| 2θ (°) | I/Imax | index |
| --- | --- | --- |
| 18.2 | 100 | 0 1 0 |
| 43.1 | 28 | 2 0 2 |
| 43.4 | 27 | 2 2 -2 |
| 43.7 | 26 | 0 2 4 |
| 35.6 | 15 | 2 1 2 |
| 62.6 | 15 | -2 2 2 |
| 62.9 | 15 | 4 2 0 |
| 35.8 | 14 | 2 1 -2 |

~~~~~

(1)
# HfNbPt
Simulated X-ray powder pattern, λ = 1.5418 Å (Cu Kα). Input: a cell relaxed with PBE.
Lines closer than 0.1° are merged.

Most intense lines, 2θ = 15–90°, most intense first:
Position (°2θ)	I (rel.)
40.28	100
24.34	49
73.21	35
47.62	25
58.27	17
87.03	11
64.09	11
78.47	8
28.18	4
65.96	1

Structural model:
Cell lengths 6.333, 6.333, 6.333 Å; angles 90.00, 90.00, 90.00 degrees
Positions (direct):
1 Hf 0.000 0.000 0.000
2 Hf 0.000 0.500 0.500

### Work order
Count the lines above that contain the word "atom" and give the number alone.

### Completed
1